********
Entry 1:
DFT (the ωB97M-V functional and the def2-TZVPD basis) results for a structure of composition C31H29IrN7O6S2.

Geometry as XYZ:
```
76
Properties=species:S:1:pos:R:3:forces:R:3
Ir 0.823 1.626 1.295 -1.499 -2.264 1.435
C 1.144 3.782 -3.217 0.393 -0.157 -0.261
O 0.098 4.040 -2.239 -0.217 -0.063 0.189
C 0.032 3.039 -1.391 0.090 -0.389 -0.293
N 0.750 1.956 -1.840 0.402 0.522 0.246
C 1.225 2.267 -3.241 -0.021 -0.157 -0.151
C 2.517 1.604 -3.641 -0.044 -0.173 0.033
C 3.572 2.310 -4.198 -0.138 0.111 0.124
C 4.734 1.645 -4.562 0.091 -0.041 -0.070
C 4.843 0.275 -4.384 0.007 0.063 0.039
C 3.773 -0.442 -3.865 -0.029 0.006 -0.040
C 2.611 0.218 -3.509 -0.056 0.134 0.026
C -0.908 3.104 -0.328 -0.538 0.507 -0.131
C -1.825 4.170 -0.277 0.206 -0.435 -0.064
C -2.873 4.121 0.621 -0.164 0.333 0.037
C -3.032 3.007 1.438 0.372 -0.615 -0.089
C -2.078 1.989 1.383 -0.616 0.499 -0.285
N -0.978 2.090 0.586 0.632 0.335 0.908
C -2.288 0.774 2.091 0.390 -0.715 0.208
N -1.526 -0.337 2.177 -0.577 0.688 0.353
C -2.117 -1.304 3.139 -0.030 -0.251 -0.134
C -3.540 -0.753 3.190 -0.059 -0.446 0.093
O -3.419 0.612 2.731 0.041 0.289 -0.126
C -2.008 -2.728 2.659 -0.012 -0.003 0.035
C -1.501 -3.713 3.499 -0.005 0.044 -0.002
C -1.491 -5.039 3.085 0.041 -0.101 0.042
C -1.958 -5.379 1.825 0.039 0.016 -0.026
C -2.412 -4.388 0.963 -0.066 0.079 0.000
C -2.453 -3.070 1.384 -0.083 -0.004 0.058
H 2.069 4.251 -2.874 -0.125 0.048 0.117
H 0.821 4.223 -4.154 -0.014 -0.015 0.005
H 0.434 1.875 -3.889 -0.051 0.036 0.122
H 3.497 3.379 -4.354 0.083 0.008 0.019
H 5.558 2.202 -4.988 -0.005 0.010 0.000
H 5.758 -0.234 -4.655 -0.009 -0.001 -0.032
H 3.840 -1.517 -3.757 0.012 0.010 0.015
H 1.766 -0.335 -3.116 -0.005 -0.069 0.009
H -1.714 4.984 -0.979 -0.058 0.041 0.034
H -3.597 4.922 0.657 0.039 0.018 0.012
H -3.873 2.900 2.108 -0.072 0.073 -0.069
H -1.637 -1.189 4.114 0.059 0.038 -0.067
H -3.973 -0.749 4.186 0.066 0.101 0.007
H -4.204 -1.292 2.514 0.029 0.145 -0.093
H -1.145 -3.461 4.493 -0.055 0.030 0.026
H -1.129 -5.808 3.753 -0.005 0.003 0.004
H -1.981 -6.415 1.515 0.074 -0.002 -0.008
H -2.753 -4.640 -0.033 -0.035 -0.046 0.023
H -2.840 -2.301 0.724 0.015 -0.044 -0.012
C 1.524 -1.878 0.772 0.089 0.083 -0.015
C 0.191 -1.213 0.691 0.114 0.125 0.932
N -0.155 -0.455 1.848 0.882 0.643 -1.637
N 0.561 -0.872 2.969 0.392 -0.246 0.428
C 1.053 0.004 3.875 -0.314 0.207 -0.012
N 1.720 -0.498 4.902 -0.001 -0.162 -0.009
S 0.735 1.659 3.760 0.017 0.530 -1.039
C -0.585 -1.217 -0.506 -0.696 -0.117 -0.771
C -0.212 -2.025 -1.607 0.235 0.014 0.357
C -0.964 -2.000 -2.761 -0.101 0.099 -0.165
C -2.086 -1.183 -2.839 0.053 -0.006 0.116
C -2.398 -0.429 -1.716 -0.076 -0.083 -0.304
N -1.695 -0.457 -0.598 0.157 0.405 0.648
H 2.262 -1.212 1.224 0.083 -0.069 -0.059
H 1.884 -2.120 -0.223 0.038 0.019 0.095
H 1.493 -2.809 1.350 0.058 -0.049 -0.059
H 0.680 -1.869 3.089 -0.180 -0.068 -0.168
H 1.973 -1.472 4.972 -0.061 -0.009 0.042
H 2.099 0.133 5.590 0.044 0.034 -0.021
H 0.645 -2.681 -1.544 -0.074 0.021 -0.095
H -0.673 -2.601 -3.613 0.004 -0.086 0.058
H -2.706 -1.154 -3.723 0.025 0.054 -0.011
H -3.259 0.235 -1.723 0.013 -0.098 0.025
O 3.913 2.224 -1.006 0.120 0.000 0.066
S 2.829 2.063 -0.123 0.889 0.016 -1.119
O 2.951 1.109 0.990 0.273 0.078 0.311
O 1.541 1.200 -0.975 -0.391 0.233 0.133
O 2.069 3.245 0.282 -0.087 0.240 0.008
```
Positions in Å, forces in eV/Å.

The value obtained for the energy relative to the best compared isomer or geometry (same formula, charge and spin) is 696.7 kJ/mol. The net charge is +2. Its highest occupied orbital energy (spin up / spin down) is -0.4381 / -0.4382 hartree. The calculation puts the molar mass at 851.97 g/mol. Its largest force on an atom is 0.0597 Eh/bohr. As for the spin multiplicity: 2. As for the calculated total energy: -79821.570 eV.



Entry 2:
DFT (the ωB97M-V functional and the def2-TZVPD basis) results for a structure of composition C31H29MoOS5Sb2.

Geometry as XYZ:
```
69
Properties=species:S:1:pos:R:3:forces:R:3
Mo -1.288 -0.547 -0.096 -4.032 -2.106 6.145
********

Print the contents earlier on word for word.

Entry 1:
DFT (the ωB97M-V functional and the def2-TZVPD basis) results for a structure of composition C31H29IrN7O6S2.

Geometry as XYZ:
```
76
Properties=species:S:1:pos:R:3:forces:R:3
Ir 0.823 1.626 1.295 -1.499 -2.264 1.435
C 1.144 3.782 -3.217 0.393 -0.157 -0.261
O 0.098 4.040 -2.239 -0.217 -0.063 0.189
C 0.032 3.039 -1.391 0.090 -0.389 -0.293
N 0.750 1.956 -1.840 0.402 0.522 0.246
C 1.225 2.267 -3.241 -0.021 -0.157 -0.151
C 2.517 1.604 -3.641 -0.044 -0.173 0.033
C 3.572 2.310 -4.198 -0.138 0.111 0.124
C 4.734 1.645 -4.562 0.091 -0.041 -0.070
C 4.843 0.275 -4.384 0.007 0.063 0.039
C 3.773 -0.442 -3.865 -0.029 0.006 -0.040
C 2.611 0.218 -3.509 -0.056 0.134 0.026
C -0.908 3.104 -0.328 -0.538 0.507 -0.131
C -1.825 4.170 -0.277 0.206 -0.435 -0.064
C -2.873 4.121 0.621 -0.164 0.333 0.037
C -3.032 3.007 1.438 0.372 -0.615 -0.089
C -2.078 1.989 1.383 -0.616 0.499 -0.285
N -0.978 2.090 0.586 0.632 0.335 0.908
C -2.288 0.774 2.091 0.390 -0.715 0.208
N -1.526 -0.337 2.177 -0.577 0.688 0.353
C -2.117 -1.304 3.139 -0.030 -0.251 -0.134
C -3.540 -0.753 3.190 -0.059 -0.446 0.093
O -3.419 0.612 2.731 0.041 0.289 -0.126
C -2.008 -2.728 2.659 -0.012 -0.003 0.035
C -1.501 -3.713 3.499 -0.005 0.044 -0.002
C -1.491 -5.039 3.085 0.041 -0.101 0.042
C -1.958 -5.379 1.825 0.039 0.016 -0.026
C -2.412 -4.388 0.963 -0.066 0.079 0.000
C -2.453 -3.070 1.384 -0.083 -0.004 0.058
H 2.069 4.251 -2.874 -0.125 0.048 0.117
H 0.821 4.223 -4.154 -0.014 -0.015 0.005
H 0.434 1.875 -3.889 -0.051 0.036 0.122
H 3.497 3.379 -4.354 0.083 0.008 0.019
H 5.558 2.202 -4.988 -0.005 0.010 0.000
H 5.758 -0.234 -4.655 -0.009 -0.001 -0.032
H 3.840 -1.517 -3.757 0.012 0.010 0.015
H 1.766 -0.335 -3.116 -0.005 -0.069 0.009
H -1.714 4.984 -0.979 -0.058 0.041 0.034
H -3.597 4.922 0.657 0.039 0.018 0.012
H -3.873 2.900 2.108 -0.072 0.073 -0.069
H -1.637 -1.189 4.114 0.059 0.038 -0.067
H -3.973 -0.749 4.186 0.066 0.101 0.007
H -4.204 -1.292 2.514 0.029 0.145 -0.093
H -1.145 -3.461 4.493 -0.055 0.030 0.026
H -1.129 -5.808 3.753 -0.005 0.003 0.004
H -1.981 -6.415 1.515 0.074 -0.002 -0.008
H -2.753 -4.640 -0.033 -0.035 -0.046 0.023
H -2.840 -2.301 0.724 0.015 -0.044 -0.012
C 1.524 -1.878 0.772 0.089 0.083 -0.015
C 0.191 -1.213 0.691 0.114 0.125 0.932
N -0.155 -0.455 1.848 0.882 0.643 -1.637
N 0.561 -0.872 2.969 0.392 -0.246 0.428
C 1.053 0.004 3.875 -0.314 0.207 -0.012
N 1.720 -0.498 4.902 -0.001 -0.162 -0.009
S 0.735 1.659 3.760 0.017 0.530 -1.039
C -0.585 -1.217 -0.506 -0.696 -0.117 -0.771
C -0.212 -2.025 -1.607 0.235 0.014 0.357
C -0.964 -2.000 -2.761 -0.101 0.099 -0.165
C -2.086 -1.183 -2.839 0.053 -0.006 0.116
C -2.398 -0.429 -1.716 -0.076 -0.083 -0.304
N -1.695 -0.457 -0.598 0.157 0.405 0.648
H 2.262 -1.212 1.224 0.083 -0.069 -0.059
H 1.884 -2.120 -0.223 0.038 0.019 0.095
H 1.493 -2.809 1.350 0.058 -0.049 -0.059
H 0.680 -1.869 3.089 -0.180 -0.068 -0.168
H 1.973 -1.472 4.972 -0.061 -0.009 0.042
H 2.099 0.133 5.590 0.044 0.034 -0.021
H 0.645 -2.681 -1.544 -0.074 0.021 -0.095
H -0.673 -2.601 -3.613 0.004 -0.086 0.058
H -2.706 -1.154 -3.723 0.025 0.054 -0.011
H -3.259 0.235 -1.723 0.013 -0.098 0.025
O 3.913 2.224 -1.006 0.120 0.000 0.066
S 2.829 2.063 -0.123 0.889 0.016 -1.119
O 2.951 1.109 0.990 0.273 0.078 0.311
O 1.541 1.200 -0.975 -0.391 0.233 0.133
O 2.069 3.245 0.282 -0.087 0.240 0.008
```
Positions in Å, forces in eV/Å.

The value obtained for the energy relative to the best compared isomer or geometry (same formula, charge and spin) is 696.7 kJ/mol. The net charge is +2. Its highest occupied orbital energy (spin up / spin down) is -0.4381 / -0.4382 hartree. The calculation puts the molar mass at 851.97 g/mol. Its largest force on an atom is 0.0597 Eh/bohr. As for the spin multiplicity: 2. As for the calculated total energy: -79821.570 eV.



Entry 2:
DFT (the ωB97M-V functional and the def2-TZVPD basis) results for a structure of composition C31H29MoOS5Sb2.

Geometry as XYZ:
```
69
Properties=species:S:1:pos:R:3:forces:R:3
Mo -1.288 -0.547 -0.096 -4.032 -2.106 6.145